Frequently Asked Questions

Investment funds manage portfolios consisting of equity (stocks), public or private sector debt instruments (bonds), capital market instruments such as reverse repo, and precious metals such as gold. Investment funds are established and managed by portfolio management companies.

An investment fund participation share is a capital market instrument that carries the rights of the investor and shows participation in the fund. Investors join the fund by purchasing investment fund participation shares, which represent a portion of the fund's portfolio, and thus their savings are pooled with other investors. Portfolio managers invest the amount of the new shares in various investment instruments.

Investing in an investment fund offers the opportunity to invest in multiple products at the same time without having to carry out and track multiple transactions. It also facilitates access to both the Turkish and global capital markets. Investment funds are managed by experienced professional portfolio managers who aim to take advantage of the best opportunities in the markets.


It should be known that every investment fund carries a certain level of risk when invested in. The value of the capital market instruments included in the fund portfolio can increase or decrease, and you may lose part of your principal. It should be considered that as the return expectation increases, the risk ratio and the probability of loss may also increase, and on the other hand, the investment fund can provide higher returns in cases where the asset groups in which the fund invests perform well. You should determine your risk tolerance and choose investment funds accordingly.


Your investment's maturity date determines how long you will be investing in the investment fund, as this will be a determining factor in your investment choices.

Purpose of Your Investment 

Whether you are investing towards a specific goal or to protect the value of your savings, or to achieve high returns, will affect the level of risk you are willing to take.

Information on the Investment Fund

The following items should be known beforehand to benefit from choosing an investment fund:

Ta3Mo5: PBEsol geometry, meta-GGA SCAN.

DOS at the Fermi energy ... 3.8 states/eV/cell
Electronic total energy ... -375.6 eV per cell
SG ... Im-3m, No. 229
Energy of formation ... -0.179 eV/atom

Unit cell a=5.507 b=5.507 c=5.507 alpha=109.47 beta=109.47 gamma=109.47
Positions (direct):
Ta (0.000, 0.500, 0.500)
Ta (0.500, 0.000, 0.500)
Ta (0.500, 0.500, 0.000)
Mo (0.000, 0.000, 0.000)
Mo (0.000, 0.000, 0.500)
Mo (0.000, 0.500, 0.000)
Mo (0.500, 0.000, 0.000)
Mo (0.500, 0.500, 0.500)

=====

Ta3Mo5: PBEsol geometry, meta-GGA SCAN.

DOS at the Fermi energy ... 4.2 states/eV/cell
Electronic total energy ... -375.3 eV per cell
SG ... Pm, No. 6
Energy of formation ... -0.135 eV/atom

Unit cell a=5.259 b=4.487 c=5.530 alpha=90.00 beta=100.34 gamma=90.00
Positions (direct):
Ta (0.000, 0.000, 0.000)
Ta (0.007, 0.000, 0.499)
Ta (0.748, 0.500, 0.631)
Mo (0.248, 0.500, 0.373)
Mo (0.257, 0.500, 0.876)
Mo (0.498, 0.000, 0.753)
Mo (0.503, 0.000, 0.253)
Mo (0.749, 0.500, 0.130)

=====

Ta3Mo5: PBEsol geometry, meta-GGA SCAN.

DOS at the Fermi energy ... 4.1 states/eV/cell
Electronic total energy ... -375.0 eV per cell
SG ... P2, No. 3
Energy of formation ... -0.098 eV/atom

Unit cell a=2.775 b=8.936 c=5.258 alpha=90.00 beta=99.71 gamma=90.00
Positions (direct):
Ta (0.000, 0.000, 0.000)
Ta (0.254, 0.739, 0.748)
Ta (0.746, 0.739, 0.252)
Mo (0.000, 0.486, 0.000)
Mo (0.252, 0.246, 0.749)
Mo (0.500, 0.486, 0.500)
Mo (0.500, 0.999, 0.500)
Mo (0.748, 0.246, 0.251)

=====

TaMo2: PBEsol geometry, meta-GGA SCAN.

DOS at the Fermi energy ... 1.4 states/eV/cell
Electronic total energy ... -136.7 eV per cell
SG ... Fmmm, No. 69
Energy of formation ... -0.101 eV/atom

Unit cell a=7.033 b=6.843 c=2.769 alpha=82.38 beta=74.66 gamma=22.97
Positions (direct):
Ta (0.000, 0.000, 0.000)
Mo (0.331, 0.331, 0.669)
Mo (0.669, 0.669, 0.331)

=====

TaMo7: PBEsol geometry, meta-GGA SCAN.

DOS at the Fermi energy ... 3.5 states/eV/cell
Electronic total energy ... -311.3 eV per cell
SG ... Cmmm, No. 65
Energy of formation ... -0.071 eV/atom

Unit cell a=5.449 b=5.449 c=4.440 alpha=90.00 beta=90.00 gamma=109.54
Positions (direct):
Ta (0.000, 0.000, 0.000)
Mo (0.000, 0.500, 0.000)
Mo (0.249, 0.751, 0.500)
Mo (0.253, 0.253, 0.500)
Mo (0.500, 0.000, 0.000)
Mo (0.500, 0.500, 0.000)
Mo (0.747, 0.747, 0.500)
Mo (0.751, 0.249, 0.500)

=====

TaMo2: PBEsol geometry, meta-GGA SCAN.

DOS at the Fermi energy ... 2.7 states/eV/cell
Electronic total energy ... -273.5 eV per cell
SG ... Cmcm, No. 63
Energy of formation ... -0.139 eV/atom

Unit cell a=7.098 b=7.098 c=3.174 alpha=90.00 beta=90.00 gamma=143.21
Positions (direct):
Ta (0.086, 0.914, 0.750)
Ta (0.914, 0.086, 0.250)
Mo (0.253, 0.747, 0.250)
Mo (0.416, 0.584, 0.750)
Mo (0.584, 0.416, 0.250)
Mo (0.747, 0.253, 0.750)

=====

Ta3Mo5: PBEsol geometry, meta-GGA SCAN.

DOS at the Fermi energy ... 3.8 states/eV/cell
Electronic total energy ... -375.2 eV per cell
SG ... P-4m2, No. 115
Energy of formation ... -0.128 eV/atom
The data records stop here

    • The most recent portfolio structure and strategy of the fund
    • The management fee rate and total expense ratio of the fund
    • The performance of the fund in past periods and a comparison of returns with other funds with similar strategies
    • Places where the fund's shares can be bought and sold, trading hours and trading conditions
    • Whether there is an entry-exit commission

It would be useful to consult experts on the subject and/or review the fund's informational documents before making your investment to determine the purpose, risk, and alignment of the fund with the risk you plan to take. 

A fund can generate returns in three ways:

Crystal structures, kept here for reference.
# 1
Below is a geometry-optimized Li5Mg structure, with properties calculated at the PBEsol level.

Computed properties:
**Calculated formation energy**: -0.13 eV/f.u.
**DOS at the Fermi energy**: 0.4394 states/eV/atom
**Space group**: C2

Cell: 5.2571 5.2571 5.8944 Å, 62.10 62.10 60.14°
Fractional coordinates of all 6 atoms:
Mg 0.0000 0.0000 0.0000
Li 0.1680 0.5008 0.4990
Li 0.4992 0.8320 0.5010
Li 0.8325 0.1675 0.5000
Li 0.3331 0.3328 0.0009
Li 0.6672 0.6669 0.9991



# 2
Below is a geometry-optimized AgAsI2O structure, with properties calculated at the PBEsol level.

Computed properties:
**DOS at the Fermi energy**: 0.9408 states/eV/atom
**Space group**: P4/mmm
**Uncorrected formation energy**: 0.496 eV/atom

Cell: 3.8851 5.5412 5.5412 Å, 90.00 90.00 90.00°
Fractional coordinates of all 5 atoms:
I 0.0000 0.0000 0.5000
I 0.0000 0.5000 0.0000
As 0.5000 0.5000 0.5000
O 0.5000 0.0000 0.0000
Ag 0.0000 0.0000 0.0000



# 3
Below is a geometry-optimized Cu2IrBr structure, with properties calculated at the PBEsol level.

Computed properties:
**DOS at the Fermi energy**: 0.4743 states/eV/atom
**Space group**: C2/m
**Uncorrected formation energy**: 0.664 eV/atom

Cell: 2.9335 4.6835 4.5978 Å, 102.82 90.00 108.25°
Fractional coordinates of all 4 atoms:
Br 0.5000 0.0000 0.0000
Cu 0.7444 0.4887 0.7204
Cu 0.2556 0.5113 0.2796
Ir 0.0000 0.0000 0.5000



# 4
Below is a geometry-optimized AsIN2 structure, with properties calculated at the PBEsol level.

Computed properties:
**DOS at the Fermi energy**: 0.3191 states/eV/atom
**Space group**: Fm-3m
**Uncorrected formation energy**: 1.943 eV/atom

Cell: 4.1904 4.1904 4.1904 Å, 60.00 60.00 60.00°
Fractional coordinates of all 4 atoms:
I 0.5000 0.5000 0.5000
As 0.0000 0.0000 0.0000
N 0.2500 0.2500 0.2500
N 0.7500 0.7500 0.7500



no.,DFT total energy (eV/atom)
1,-1.95
2,-2.94
3,-4.43
4,-4.04

    • The fund can earn dividends, interest and/or dividend income from the capital market instruments in its portfolio. The fund reflects all the income it earns in its portfolio value.
    • The values of the capital market instruments owned by the fund can increase, and if a capital market instrument with a rising price is sold, the fund can earn capital gains from securities in this way. The fund reflects this capital gain in its portfolio value.
    • The values of the capital market instruments owned by the fund can increase, and if a capital market instrument with a rising price is not sold but held in the fund's portfolio, the price of the fund's participation shares will increase. 

When investors sell their participation shares, they share in the value increases/decreases that have occurred in the fund's portfolio up to that point in proportion to their participation shares in their portfolios.

Income from investment funds is subject to a 10% tax rate. However, this rate can vary depending on the type of fund, the holding period, and whether the investor is a legal or natural person. According to the above:

  • For funds consisting of at least 51% of shares traded on BIST held for 1 year or longer, the tax rate is 0%.  
  • For funds with a high concentration of shares, the tax rate is 0%. 
  • Withholding tax rate on income and gains obtained from mutual funds (excluding variable, mixed, eurobond, foreign borrowing, foreign, hedge funds and mutual funds with the phrase "currency" in their titles) between 30.06.2023 and 31.12.2023 (including these dates) is 0. 
  • For capital companies (limited liability, joint stock, and limited partnership companies established in accordance with the provisions of the Turkish Commercial Code), the tax rate on investment fund returns is 0%. 
  • For foreign entities with similar characteristics to capital companies, as well as foreign funds similar to funds subject to the regulation and supervision of the Capital Markets Board, the tax rate on investment fund returns is 0%. 
  • For investors who only engage in activities to earn income and capital gains from securities and other capital market instruments, and use the rights related to these, the tax rate on investment fund returns is 0%.

In terms of income tax, those who are resident in Turkey (those who have their place of residence in Turkey) or those who are considered resident in Turkey (those who have stayed in Turkey for more than 6 months in a calendar year. Excluding those who come for specific and temporary tasks or jobs, as well as those who stay for more than 6 months due to incarceration, imprisonment, or illness), as well as official agencies, institutions, or enterprises with headquarters in Turkey, are considered fully taxable. In terms of income tax, full taxability means that an individual is subject to income tax on income earned in Turkey or abroad.

In terms of corporate tax, capital companies, economic public institutions, economic enterprises owned by associations and foundations, and institutions and organizations such as partnerships, where legal or business centers are located in Turkey, are fully taxable.

In terms of income tax, limited taxpayer status applies to individuals who are not resident or deemed resident in Turkey and are subject to income tax only on income they earn in Turkey. 

In terms of corporate tax, limited taxpayer status applies to legal entities such as capital companies, economic public institutions, economic enterprises belonging to associations and foundations, and partnerships, among others, that do not have legal or business centers in Turkey.

All information about investment funds can be obtained from the fund's issuer's website and the Public Disclosure Platform page for the fund. Additionally, information about investment funds can be found on the official website of the Turkey Electronic Fund Distribution and Trading Platform (TEFAS).

The trading of investment funds can be carried out through institutions where the purchase and sale of fund participation units, as announced in the prospectus of the fund by the founder and/or the founder, can be made.

Funds traded on the Turkey Electronic Fund Trading Platform (TEFAS) can be bought and sold through platform member institutions within the trading hours on the TEFAS platform.

The prices of investment funds can be found on the issuer's website and the official website of TEFAS at .

The Turkey Electronic Fund Trading Platform (TEFAS) is a central fund distribution platform that was established with the permission of the Capital Markets Board and provides the ability to compare all investment funds on a single system and access all funds on the market with a single investment account. For more detailed information about the platform, please visit .

A Hedge Fund is a type of fund that is only open to investment by individuals and entities that meet the definition of "qualified investor" as determined by the Capital Markets Board of Turkey and is not subject to any restrictions on its investment strategy or the types of assets it can invest in. Unlike other investment funds, Free Funds have the flexibility to take advantage of opportunities in both rising and falling markets (long/short) and can engage in over-the-counter derivative transactions, short selling, and margin trading.

Investment funds, retirement investment funds, securities investment trusts, venture capital investment trusts, real estate investment trusts, brokerage firms, banks, insurance companies, private financial institutions, portfolio management companies, pension and aid funds, foundations, funds established according to temporary article 20 of the Social Security and General Health Insurance Law, public benefit associations, and other investors that are similar in nature to these institutions as determined by the Board, as well as real and legal persons who own at least TRY 1 million worth of Turkish and/or foreign currency and capital market instruments as of the date of the public offering, are defined as Qualified Investors in the law.

The management of risks in investment funds involves the effective identification, measurement, management, monitoring, and reporting of the risks of the funds being managed. The risks to which investment funds are exposed are described in the funds' prospectuses. These risks include market risk, counterparty risk, liquidity risk, operational risk, etc. The risks that the funds may be exposed to are identified, the methods for measuring these risks and the risk model to be used are determined and implemented, and are reported to the Board of Directors. Risk limits are determined by the Board of Directors. Compliance with the determined risk limits is controlled and reported on a daily basis. A backtesting exercise is carried out to measure the accuracy and performance of the risk measurement model used. The risk model is regularly reviewed in the context of changing portfolio and market conditions, and any necessary changes to the model are made. Depending on the investment strategy and risk profile of the portfolio, stress test scenarios are created that reflect changes in risk factors that may affect the fund's net asset value, and measures to be taken are determined through the analysis of the effects on the portfolio. Kullanılan risk ölçüm modelinin doğruluğunu ve performansını ölçmek amacıyla geriye dönük test uygulanır. Değişen portföy ve piyasa koşulları çerçevesinde risk modeli düzenli olarak gözden geçirilir ve varsa modelde gerekli görülen değişiklikler yapılır. Portföyün yatırım stratejisi ve risk profiline bağlı olarak fon toplam değeri üzerinde etkisi olabilecek risk faktörlerinin değişimini yansıtacak stres testi senaryoları oluşturularak portföye etkilerinin analizi ile alınacak önlemler belirlenir.

Investment funds are required to keep the assets that may be held in their portfolios with portfolio custodians in accordance with the principles specified in the Capital Markets Board's Custody Regulations. Portfolio custody services include the safekeeping and/or recording of the fund's financial assets, the verification and tracking of ownership of other assets, the keeping of records, the control of transactions related to the movement of assets and cash, and other tasks specified in the Regulations. The portfolio custodian provides custody services for all financial assets that can be recorded in the financial asset accounts directly or indirectly under its own records and all financial assets that can be physically delivered to the portfolio custodian for financial assets that are eligible for safekeeping in the fund portfolios. The portfolio custodian is responsible for safeguarding the assets in accordance with the principles set forth in the Regulations and for providing the fund management company with the information and documents it needs to perform its duties in relation to the assets in the fund portfolio.

Private portfolio management, or individual portfolio management, is the management of portfolios consisting of financial assets on behalf of each individual client. Private portfolio management allows experienced and knowledgeable portfolio managers who closely follow market trends to quickly take action based on changing market conditions, enabling the management of the portfolio, providing investors with access to a wide range of products traded on the capital markets, and creating a portfolio that is consistent with the investor's risk-return preferences based on the criteria set by the investor.

A suitability test is a standard form prepared in written form for the purpose of evaluating whether the services offered to an individual client within the scope of individual portfolio management or investment consulting are compatible with the client's investment objectives, financial situation, and knowledge and experience, by authorized institutions. In this form, the authorized institution collects written information from the client regarding:

  • The client's investment objectives, including the investment period, risk and return preferences; 
  • The adequacy of the client's financial situation to cover the risks of the investment, including information about the client's income level and investment-purpose assets; 
  • The client's knowledge and experience to understand the risks of transactions to be carried out in the portfolio or account, including the client's age, occupation, and educational background; 
  • Whether the client is a general or professional client; 
  • Information on the capital market instruments that were the subject of transactions carried out by the client in the last year, the type, nature, volume, and frequency of these transactions.

Individual portfolio management or investment consulting services are provided in accordance with the result of the suitability test.

A private fund is a fund that is allocated to a pre-determined institution, or to a single individual or individuals. The advantages of a private fund include the creation of an investment strategy that is consistent with the specific risk-return preferences of the allocated individual(s) or institution, and the determination of the investors in the fund by the fund's investor. In addition, if the investor in the fund is a corporate investor, it offers advantages such as promotion and membership.

A venture capital investment fund (VCIF) is a non-corporate asset that is established by portfolio management companies and venture capital portfolio management companies that are authorized by the Capital Markets Board, for the purpose of managing a portfolio of assets and transactions determined by the Capital Markets Board, based on the principles of fiduciary ownership, using the money collected from qualified investors in exchange for participation shares, for a certain period of time. VCIFs are generally funds that provide resources to start-ups that are technology-focused, innovative, and have a fast growth potential and need resources to succeed. 

The main differences of VCIFs from other investment funds are as follows:

  • The regulations for VCIFs are regulated in a separate Capital Markets Board Regulation on Venture Capital Investment Funds, rather than in the Capital Markets Board Regulation on Investment Funds.
  • At least 80% of the total value of the fund consists of venture capital investments. 
  • The prospectus is prepared as the fund disclosure document, instead of an offering document.
  • The withholding tax rate for gains from participation shares of VCIFs held for more than two years is 0%.